Work order
Please print the whole of the block further below verbatim.

Contents
=====
No. 1
This record from OMol25 describes C28H32Cl3N4O5OsPS2 as an isolated structure. The level of theory is wB97M-V/def2-TZVPD.

Summary:
Spin multiplicity ... 2
E_HOMO (spin up / spin down) ... -0.376 / -0.375 Ha
⟨S²⟩ ... 0.76
Net charge ... +1
Gap between HOMO and LUMO (spin up / spin down) ... 8.0 / 7.0 eV
Electronic energy ... -116741.624 eV

```
76
C28H32Cl3N4O5OsPS2 (wB97M-V/def2-TZVPD)
Os 1.03659 1.72681 -0.03773
C -0.14656 -0.26184 4.72393
C -1.01827 0.30186 3.62531
O -0.54190 -0.04382 2.29867
P 0.86963 0.40635 1.74892
S 0.31249 0.61973 -1.96659
S 1.41839 2.32106 2.24534
O 1.80343 -0.74859 2.29174
C 3.25610 -0.70327 2.23398
C 3.78448 -1.53396 3.37590
H -0.62620 -0.09176 5.68854
H 0.82892 0.22434 4.74490
H -0.00149 -1.33314 4.58995
H -1.08176 1.39038 3.68112
H -2.02324 -0.11112 3.66401
H 3.57731 0.33644 2.30559
H 3.56017 -1.09583 1.26421
H 3.48348 -1.11268 4.33461
H 4.87376 -1.55765 3.33559
H 3.41525 -2.55689 3.30938
C -3.03887 -4.03323 0.16255
O -2.71869 -2.74977 -0.35938
C -2.37338 -2.68029 -1.67133
C -2.27571 -3.76475 -2.52924
C -1.91027 -3.56705 -3.85663
C -1.66280 -2.29460 -4.33870
C -1.77515 -1.20356 -3.48516
C -2.09836 -1.39401 -2.15348
N -2.18520 -0.31998 -1.23416
C -1.26282 0.62182 -1.07239
N 1.14708 -0.82176 -1.66776
C 2.50151 -0.46199 -1.32582
C 2.74660 0.72840 -0.63542
C 4.07089 1.08890 -0.39789
C 5.10469 0.25057 -0.79098
C 4.84929 -0.94442 -1.45323
C 3.53623 -1.29667 -1.74224
O 3.14940 -2.40252 -2.43643
C 4.16658 -3.30199 -2.85493
N -1.26126 1.70775 -0.36589
C -2.37012 2.36939 0.22131
C -2.38928 3.75219 0.08201
C -3.40845 4.51730 0.61875
C -4.42175 3.89253 1.32687
C -4.41026 2.51698 1.50200
C -3.38609 1.74762 0.96257
O -3.29799 0.39413 1.13906
C -4.31477 -0.25231 1.89578
H -3.32210 -3.87715 1.19930
H -2.17324 -4.69705 0.12314
H -3.87431 -4.48027 -0.37929
H -2.47419 -4.76490 -2.17425
H -1.83355 -4.42164 -4.51490
H -1.40695 -2.13975 -5.37739
H -1.63287 -0.20039 -3.86542
H -2.83313 -0.40586 -0.45060
H 1.11147 -1.46645 -2.45358
H 4.29410 2.00894 0.12776
H 6.12975 0.52818 -0.58257
H 5.66978 -1.57435 -1.76347
H 3.65746 -4.12258 -3.35108
H 4.72484 -3.68443 -1.99833
H 4.85179 -2.82054 -3.55554
H -1.57870 4.21474 -0.46791
H -3.40903 5.59028 0.48828
H -5.22643 4.47249 1.75777
H -5.20209 2.05109 2.06855
H -4.02764 -1.29936 1.93541
H -5.28885 -0.15554 1.41290
H -4.36542 0.15173 2.90845
Cl 0.32246 6.69317 -2.28748
C 1.86336 5.82123 -2.19182
Cl 2.50741 5.52436 -3.81075
Cl 3.02230 6.71623 -1.21033
C 1.60455 4.52844 -1.55591
N 1.39757 3.53430 -1.02819
```

No. 2
This record from OMol25 describes C28H32ClF6N14O3PS2Ti as an isolated structure in a non-equilibrium geometry. The level of theory is wB97M-V/def2-TZVPD.

Summary:
Spin multiplicity ... 2
E_HOMO (spin up / spin down) ... -0.138 / -0.138 Ha
⟨S²⟩ ... 0.75
Net charge ... -1
Gap between HOMO and LUMO (spin up / spin down) ... 5.2 / 5.4 eV
Electronic energy ... -139469.019 eV

```
88
C28H32ClF6N14O3PS2Ti (wB97M-V/def2-TZVPD)
Ti -2.14490 1.13657 1.54500
N -4.53776 3.35126 1.68685
C -3.25610 3.84115 1.66325
N -2.92127 5.08915 1.95114
N -1.60129 5.14198 1.77003
N -1.14314 4.00798 1.39352
N -2.16735 3.12225 1.30119
C -4.84161 2.17613 1.05149
N -6.05336 1.74688 0.73720
N -5.86130 0.58618 0.10500
N -4.60802 0.31444 0.05390
N -3.90144 1.30332 0.63786
H -5.28328 3.99974 1.87692
O -2.43552 -5.01630 -1.14918
S -3.60531 -4.25021 -0.76922
O -4.21702 -4.62896 0.47651
N -3.23313 -2.64445 -0.81197
C -3.96360 -2.03921 -1.73157
S -3.85908 -0.37757 -2.02760
C -4.89408 -2.87342 -2.48609
C -5.81783 -2.48919 -3.45323
C -6.66912 -3.45218 -3.96579
C -6.60834 -4.77602 -3.53250
C -5.67568 -5.16569 -2.57980
C -4.82875 -4.20503 -2.07853
H -5.86780 -1.45567 -3.76345
H -7.40136 -3.17349 -4.71208
H -7.30344 -5.49967 -3.93469
H -5.61485 -6.18880 -2.23452
F -1.73530 -0.58633 2.75394
P -2.82884 -0.20367 3.98519
F -2.63703 1.44277 3.54089
F -1.56470 -0.01662 4.95283
F -3.83878 0.25748 5.11249
F -3.98394 -0.26198 2.85765
F -2.97269 -1.73236 4.33075
C 0.04575 -2.41769 -1.78466
=====

Written answer
No. 1
This record from OMol25 describes C28H32Cl3N4O5OsPS2 as an isolated structure. The level of theory is wB97M-V/def2-TZVPD.

Summary:
Spin multiplicity ... 2
E_HOMO (spin up / spin down) ... -0.376 / -0.375 Ha
⟨S²⟩ ... 0.76
Net charge ... +1
Gap between HOMO and LUMO (spin up / spin down) ... 8.0 / 7.0 eV
Electronic energy ... -116741.624 eV

```
76
C28H32Cl3N4O5OsPS2 (wB97M-V/def2-TZVPD)
Os 1.03659 1.72681 -0.03773
C -0.14656 -0.26184 4.72393
C -1.01827 0.30186 3.62531
O -0.54190 -0.04382 2.29867
P 0.86963 0.40635 1.74892
S 0.31249 0.61973 -1.96659
S 1.41839 2.32106 2.24534
O 1.80343 -0.74859 2.29174
C 3.25610 -0.70327 2.23398
C 3.78448 -1.53396 3.37590
H -0.62620 -0.09176 5.68854
H 0.82892 0.22434 4.74490
H -0.00149 -1.33314 4.58995
H -1.08176 1.39038 3.68112
H -2.02324 -0.11112 3.66401
H 3.57731 0.33644 2.30559
H 3.56017 -1.09583 1.26421
H 3.48348 -1.11268 4.33461
H 4.87376 -1.55765 3.33559
H 3.41525 -2.55689 3.30938
C -3.03887 -4.03323 0.16255
O -2.71869 -2.74977 -0.35938
C -2.37338 -2.68029 -1.67133
C -2.27571 -3.76475 -2.52924
C -1.91027 -3.56705 -3.85663
C -1.66280 -2.29460 -4.33870
C -1.77515 -1.20356 -3.48516
C -2.09836 -1.39401 -2.15348
N -2.18520 -0.31998 -1.23416
C -1.26282 0.62182 -1.07239
N 1.14708 -0.82176 -1.66776
C 2.50151 -0.46199 -1.32582
C 2.74660 0.72840 -0.63542
C 4.07089 1.08890 -0.39789
C 5.10469 0.25057 -0.79098
C 4.84929 -0.94442 -1.45323
C 3.53623 -1.29667 -1.74224
O 3.14940 -2.40252 -2.43643
C 4.16658 -3.30199 -2.85493
N -1.26126 1.70775 -0.36589
C -2.37012 2.36939 0.22131
C -2.38928 3.75219 0.08201
C -3.40845 4.51730 0.61875
C -4.42175 3.89253 1.32687
C -4.41026 2.51698 1.50200
C -3.38609 1.74762 0.96257
O -3.29799 0.39413 1.13906
C -4.31477 -0.25231 1.89578
H -3.32210 -3.87715 1.19930
H -2.17324 -4.69705 0.12314
H -3.87431 -4.48027 -0.37929
H -2.47419 -4.76490 -2.17425
H -1.83355 -4.42164 -4.51490
H -1.40695 -2.13975 -5.37739
H -1.63287 -0.20039 -3.86542
H -2.83313 -0.40586 -0.45060
H 1.11147 -1.46645 -2.45358
H 4.29410 2.00894 0.12776
H 6.12975 0.52818 -0.58257
H 5.66978 -1.57435 -1.76347
H 3.65746 -4.12258 -3.35108
H 4.72484 -3.68443 -1.99833
H 4.85179 -2.82054 -3.55554
H -1.57870 4.21474 -0.46791
H -3.40903 5.59028 0.48828
H -5.22643 4.47249 1.75777
H -5.20209 2.05109 2.06855
H -4.02764 -1.29936 1.93541
H -5.28885 -0.15554 1.41290
H -4.36542 0.15173 2.90845
Cl 0.32246 6.69317 -2.28748
C 1.86336 5.82123 -2.19182
Cl 2.50741 5.52436 -3.81075
Cl 3.02230 6.71623 -1.21033
C 1.60455 4.52844 -1.55591
N 1.39757 3.53430 -1.02819
```

No. 2
This record from OMol25 describes C28H32ClF6N14O3PS2Ti as an isolated structure in a non-equilibrium geometry. The level of theory is wB97M-V/def2-TZVPD.

Summary:
Spin multiplicity ... 2
E_HOMO (spin up / spin down) ... -0.138 / -0.138 Ha
⟨S²⟩ ... 0.75
Net charge ... -1
Gap between HOMO and LUMO (spin up / spin down) ... 5.2 / 5.4 eV
Electronic energy ... -139469.019 eV

```
88
C28H32ClF6N14O3PS2Ti (wB97M-V/def2-TZVPD)
Ti -2.14490 1.13657 1.54500
N -4.53776 3.35126 1.68685
C -3.25610 3.84115 1.66325
N -2.92127 5.08915 1.95114
N -1.60129 5.14198 1.77003
N -1.14314 4.00798 1.39352
N -2.16735 3.12225 1.30119
C -4.84161 2.17613 1.05149
N -6.05336 1.74688 0.73720
N -5.86130 0.58618 0.10500
N -4.60802 0.31444 0.05390
N -3.90144 1.30332 0.63786
H -5.28328 3.99974 1.87692
O -2.43552 -5.01630 -1.14918
S -3.60531 -4.25021 -0.76922
O -4.21702 -4.62896 0.47651
N -3.23313 -2.64445 -0.81197
C -3.96360 -2.03921 -1.73157
S -3.85908 -0.37757 -2.02760
C -4.89408 -2.87342 -2.48609
C -5.81783 -2.48919 -3.45323
C -6.66912 -3.45218 -3.96579
C -6.60834 -4.77602 -3.53250
C -5.67568 -5.16569 -2.57980
C -4.82875 -4.20503 -2.07853
H -5.86780 -1.45567 -3.76345
H -7.40136 -3.17349 -4.71208
H -7.30344 -5.49967 -3.93469
H -5.61485 -6.18880 -2.23452
F -1.73530 -0.58633 2.75394
P -2.82884 -0.20367 3.98519
F -2.63703 1.44277 3.54089
F -1.56470 -0.01662 4.95283
F -3.83878 0.25748 5.11249
F -3.98394 -0.26198 2.85765
F -2.97269 -1.73236 4.33075
C 0.04575 -2.41769 -1.78466